diff --git a/app/assets/js/assetdownload.js b/app/assets/js/assetdownload.js
index 7bbd8eab..7a17fe7c 100644
--- a/app/assets/js/assetdownload.js
+++ b/app/assets/js/assetdownload.js
@@ -4,9 +4,13 @@ const path = require('path')
 const mkpath = require('mkdirp');
 const async = require('async')
 const crypto = require('crypto')
-const library = require('./library.js')
+const Library = require('./library.js')
 const {BrowserWindow} = require('electron')
+ */
 function Asset(from, to, size, hash){
     this.from = from
     this.to = to
@@ -22,14 +26,6 @@ function AssetIndex(id, sha1, size, url, totalSize){
     this.totalSize = totalSize
-function Library(id, sha1, size, from, to){
-    this.id = id
-    this.sha1 = sha1
-    this.size = size
-    this.from = from
-    this.to = to
  * This function will download the version index data and read it into a Javascript
  * Object. This object will then be returned.
@@ -109,12 +105,12 @@ downloadLibraries = function(versionData, basePath){
     //Check validity of each library. If the hashs don't match, download the library.
     libArr.forEach(function(lib, index){
-        if(library.validateRules(lib.rules)){
+        if(Library.validateRules(lib.rules)){
             let artifact = null
             if(lib.natives == null){
                 artifact = lib.downloads.artifact
             } else {
-                artifact = lib.downloads.classifiers[lib.natives[library.mojangFriendlyOS()]]
+                artifact = lib.downloads.classifiers[lib.natives[Library.mojangFriendlyOS()]]
             const libItm = new Library(lib.name, artifact.sha1, artifact.size, artifact.url, path.join(libPath, artifact.path))
             if(!validateLocalIntegrity(libItm.to, 'sha1', libItm.sha1)){
diff --git a/app/assets/js/assetguard.js b/app/assets/js/assetguard.js
new file mode 100644
index 00000000..c3a9f31e
--- /dev/null
+++ b/app/assets/js/assetguard.js
@@ -0,0 +1,299 @@
+/* Requirements */
+const fs = require('fs')
+const request = require('request')
+const path = require('path')
+const mkpath = require('mkdirp');
+const async = require('async')
+const crypto = require('crypto')
+const EventEmitter = require('events');
+const {remote} = require('electron')
+/* Classes */
+class Asset{
+    constructor(id, hash, size, from, to){
+        this.id = id
+        this.hash = hash
+        this.size = size
+        this.from = from
+        this.to = to
+    }
+class Library extends Asset{
+    static mojangFriendlyOS(){
+        const opSys = process.platform
+        if (opSys === 'darwin') {
+            return 'osx';
+        } else if (opSys === 'win32'){
+            return 'windows';
+        } else if (opSys === 'linux'){
+            return 'linux';
+        } else {
+            return 'unknown_os';
+        }
+    }
+    static validateRules(rules){
+        if(rules == null) return true
+        let result = true
+        rules.forEach(function(rule){
+            const action = rule['action']
+            const osProp = rule['os']
+            if(action != null){
+                if(osProp != null){
+                    const osName = osProp['name']
+                    const osMoj = Library.mojangFriendlyOS()
+                    if(action === 'allow'){
+                        result = osName === osMoj
+                        return
+                    } else if(action === 'disallow'){
+                        result = osName !== osMoj
+                        return
+                    }
+                }
+            }
+        })
+        return result
+    }
+class DLTracker {
+    constructor(dlqueue, dlsize){
+        this.dlqueue = dlqueue
+        this.dlsize = dlsize
+    }
+class AssetGuard extends EventEmitter{
+    constructor(){
+        super()
+        this.totaldlsize = 0;
+        this.progress = 0;
+        this.assets = new DLTracker([], 0)
+        this.libraries = new DLTracker([], 0)
+        this.files = new DLTracker([], 0)
+    }
+//Instance of AssetGuard
+const instance = new AssetGuard()
+/* Utility Functions */
+validateLocal = function(filePath, algo, hash){
+    if(fs.existsSync(filePath)){
+        let fileName = path.basename(filePath)
+        let shasum = crypto.createHash(algo)
+        let content = fs.readFileSync(filePath)
+        shasum.update(content)
+        let calcdhash = shasum.digest('hex')
+        return calcdhash === hash
+    }
+    return false;
+/* Validation Functions */
+ * Load version asset index.
• Someone pasted crystal structures at this point:
........
(1)
Entry from Alexandria: a relaxed HgHF crystal (PBE).

The raw total energy is -15.18 eV per cell. The crystal system is monoclinic. For the energy above the most stable polymorph in this dataset, the calculation gives 259 meV per atom.

It has space group P2_1 (No. 4), with a = 4.000 Å, b = 5.499 Å, c = 4.995 Å, α = 90.00°, β = 91.30° and γ = 90.00°. Symmetry generates all atoms from Hg at (0.178, 0.000, 0.266), H at (0.421, 0.000, 0.017) and F at (0.159, 0.501, 0.422).

=====

(2)
Entry from Alexandria: a relaxed Cd2FePt crystal (PBE).

Its formation energy is 0.34 eV/atom. The raw total energy is -59.97 eV per cell. The crystal system is tetragonal.

It has space group I-42d (No. 122), with a = 7.434 Å, b = 7.434 Å, c = 5.451 Å, α = 90.00°, β = 90.00° and γ = 90.00°. Symmetry generates all atoms from Cd at (0.245, 0.750, 0.125), Fe at (0.000, 0.000, 0.000) and Pt at (0.000, 0.000, 0.500).

=====

(3)
Entry from Alexandria: a relaxed LiYGa crystal (PBE).

Its formation energy is -0.40 eV/atom. The raw total energy is -75.55 eV per cell. The crystal system is orthorhombic. For the energy above the most stable polymorph in this dataset, the calculation gives 29 meV per atom.

It has space group Pmma (No. 51), with a = 12.797 Å, b = 4.499 Å, c = 6.858 Å, α = 90.00°, β = 90.00° and γ = 90.00°. Symmetry generates all atoms from Li at (0.136, 0.000, 0.056), Li at (0.250, 0.000, 0.704), Y at (0.038, 0.500, 0.733), Y at (0.250, 0.500, 0.365), Ga at (0.096, 0.000, 0.445) and Ga at (0.250, 0.500, 0.921).

=====

(4)
Entry from Alexandria: a relaxed KCd2 crystal (PBE).

Its formation energy is -0.09 eV/atom. The raw total energy is -25.61 eV per cell. The crystal system is cubic.

It has space group Fd-3m (No. 227, origin choice 2), with a = 9.032 Å, b = 9.032 Å, c = 9.032 Å, α = 90.00°, β = 90.00° and γ = 90.00°. Symmetry generates all atoms from K at (0.125, 0.125, 0.125) and Cd at (0.000, 0.000, 0.500).

=====

(5)
Entry from Alexandria: a relaxed K5RbSb2 crystal (PBE).

The raw total energy is -33.51 eV per cell. As for the uncorrected formation energy: -0.26 eV/atom. The crystal system is hexagonal.

It has space group P6_3/mmc (No. 194), with a = 6.3084 Å, b = 6.3084 Å, c = 23.1937 Å, α = 90.00°, β = 90.00° and γ = 120.00°. Symmetry generates all atoms from K at (0.0000, 0.0000, 0.1105), K at (0.3333, 0.6667, 0.0514), K at (0.3333, 0.6667, 0.2500), Rb at (0.3333, 0.6667, 0.7500) and Sb at (0.3333, 0.6667, 0.6033).

=====

(6)
Entry from Alexandria: a relaxed ZrTa3As crystal (PBE).

Its formation energy is 1.96 eV/atom. The raw total energy is -38.97 eV per cell. The crystal system is cubic. For the energy above the most stable polymorph in this dataset, the calculation gives 1377 meV per atom.

It has space group Pm-3m (No. 221), with a = 4.920 Å, b = 4.920 Å, c = 4.920 Å, α = 90.00°, β = 90.00° and γ = 90.00°. Symmetry generates all atoms from Zr at (0.000, 0.000, 0.000), Ta at (0.000, 0.000, 0.500) and As at (0.500, 0.500, 0.500).

=====
........
+ */
+loadVersionData = function(version, basePath, force = false){
+    return new Promise(function(fulfill, reject){
+        const name = version + '.json'
+        const url = 'https://s3.amazonaws.com/Minecraft.Download/versions/' + version + '/' + name
+        const versionPath = path.join(basePath, 'versions', version)
+        const versionFile = path.join(versionPath, name)
+        if(!fs.existsSync(versionFile) || force){
+            //This download will never be tracked as it's essential and trivial.
+            request.head(url, function(err, res, body){
+                console.log('Preparing download of ' + version + ' assets.')
+                mkpath.sync(versionPath)
+                const stream = request(url).pipe(fs.createWriteStream(versionFile))
+                stream.on('finish', function(){
+                    fulfill(JSON.parse(fs.readFileSync(versionFile)))
+                })
+            })
+        } else {
+            fulfill(JSON.parse(fs.readFileSync(versionFile)))
+        }
+    })
+ * Public asset validation method.
+ */
+validateAssets = function(versionData, basePath, force = false){
+    return new Promise(function(fulfill, reject){
+        assetChainIndexData(versionData, basePath, force).then(() => {
+            fulfill()
+        })
+    })
+//Chain the asset tasks to provide full async. The below functions are private.
+assetChainIndexData = function(versionData, basePath, force = false){
+    return new Promise(function(fulfill, reject){
+        //Asset index constants.
+        const assetIndex = versionData.assetIndex
+        const name = assetIndex.id + '.json'
+        const indexPath = path.join(basePath, 'assets', 'indexes')
+        const assetIndexLoc = path.join(indexPath, name)
+        let data = null
+        if(!fs.existsSync(assetIndexLoc) || force){
+            console.log('Downloading ' + versionData.id + ' asset index.')
+            mkpath.sync(indexPath)
+            const stream = request(assetIndex.url).pipe(fs.createWriteStream(assetIndexLoc))
+            stream.on('finish', function() {
+                data = JSON.parse(fs.readFileSync(assetIndexLoc, 'utf-8'))
+                assetChainValidateAssets(versionData, basePath, data).then(() => {
+                    fulfill()
+                })
+            })
+        } else {
+            data = JSON.parse(fs.readFileSync(assetIndexLoc, 'utf-8'))
+            assetChainValidateAssets(versionData, basePath, data).then(() => {
+                fulfill()
+            })
+        }
+    })
+assetChainValidateAssets = function(versionData, basePath, indexData){
+    return new Promise(function(fulfill, reject){
+        //Asset constants
+        const resourceURL = 'http://resources.download.minecraft.net/'
+        const localPath = path.join(basePath, 'assets')
+        const indexPath = path.join(localPath, 'indexes')
+        const objectPath = path.join(localPath, 'objects')
These materials data were left in the text by mistake >
Entry a
CuBPO2, relaxed, DFT GGA-PBEsol; N(E_F) = 0.5974 states/eV per atom
1.0
-1.8331 -2.2018 1.1420
1.7767 -2.1565 -1.3060
3.6269 -0.2480 5.3435
B P O Cu
1 1 2 1
Cartesian
0.0000 0.0000 0.0000
1.8134 -0.1240 2.6718
-0.9165 -1.1009 0.5710
0.8883 -1.0782 -0.6530
1.7852 -2.3032 2.5898

---

Entry b
CuBPO2, relaxed, DFT GGA-PBEsol; N(E_F) = 0.5765 states/eV per atom
1.0
3.4907 0.0000 0.0000
0.0000 3.4907 0.0000
0.0000 0.0000 4.8358
P B O Cu
1 1 2 1
Cartesian
0.0000 0.0000 2.4179
1.7453 1.7453 2.4179
0.0000 1.7453 0.0000
1.7453 0.0000 0.0000
0.0000 0.0000 0.0000

---

Most stable: entry a

---

Entry a
DyFe3B4O12, relaxed, DFT GGA-PBEsol; N(E_F) = 0.7108 states/eV per atom
1.0
-0.8077 -0.2092 5.8201
0.2498 -5.6335 -1.6646
5.4942 1.9859 -0.6629
O B Fe Dy
12 4 3 1
Cartesian
2.8946 1.0804 2.0114
1.1386 -0.3074 2.6850
-0.6500 -1.0181 4.7039
-0.3715 -2.4467 2.7326
2.8810 -0.5461 -0.0414
2.4131 -2.4905 -1.2514
0.6394 -2.7866 0.6527
3.3768 -1.3906 3.7863
2.2097 -4.1026 2.4412
1.0319 -4.4972 -1.5152
4.5634 -2.4371 0.9538
4.5544 1.6585 0.3039
3.1972 -1.3514 -1.1017
0.0000 0.0000 0.0000
-0.2134 -3.2576 1.6137
1.9525 0.7523 2.9805
2.9324 -4.3096 -1.5394
-0.2984 -2.8920 4.5923
4.7704 1.4164 2.1860
2.4681 -1.9284 1.7463

---

Entry b
DyFe3B4O12, relaxed, DFT GGA-PBEsol; N(E_F) = 0.3221 states/eV per atom
1.0
7.3823 0.0000 0.0000
0.0000 9.4331 0.0000
0.0000 -4.7166 8.1693
O Dy B Fe
36 3 12 9
Cartesian
3.5233 2.6950 1.2159
1.6793 -0.7093 5.8651
6.2916 2.1981 0.9795
1.3815 4.4098 0.0247
3.5814 5.7035 1.1935
3.5400 2.4903 4.3627
1.0793 -2.1835 3.8313
6.6008 0.7174 5.8511
6.0008 -0.3068 8.1447
0.7815 5.4339 2.3183
5.9841 7.0327 1.7260
6.1519 -0.3432 0.5944
6.0421 5.5478 4.3427
1.0625 4.4221 5.2275
6.2618 -1.8182 5.5361
1.1206 2.8984 2.6332
3.8308 4.4658 5.7760
1.3983 2.3161 6.4434
6.0123 2.7693 6.7554
3.2423 4.7085 3.5468
1.2304 0.8293 1.4364
1.2304 4.3734 7.5750
6.3198 -0.2945 2.9419
3.6912 7.7746 0.0000
1.3402 0.8313 3.8267
3.6912 0.6863 0.0000
1.0907 -2.5185 7.1899
3.5515 -0.2508 2.3934
1.3700 7.4858 1.4139
6.3031 2.5330 4.3380
3.8010 0.9869 6.9759
6.1519 -3.8873 6.7330
4.1401 -0.0081 4.6225
3.8423 7.2069 3.8067
3.8591 -2.0216 6.9535
5.7030 4.0073 2.3043
2.4608 -3.1058 5.3794
0.0000 6.2116 0.0000
4.9216 1.6108 2.7900
6.1519 -3.1817 5.5109
1.2304 1.5348 2.6584
3.6912 6.3635 0.0000
1.1005 6.7665 2.5607
6.1519 -1.0408 1.8026
1.3603 -1.1656 7.1403
1.2304 3.6758 6.3667
3.8211 -0.8843 3.5898
6.0220 3.5510 1.0290
6.2819 2.0499 5.6086
3.5612 3.8323 4.5796
3.6912 2.0815 0.0000
0.1083 -0.5923 4.5013
5.0299 -0.5222 6.4316
0.0000 0.9988 0.0000
4.8132 5.8311 2.7636
7.2740 4.1243 3.6681
2.5691 1.1145 5.4058
2.4608 -0.4994 0.8650
2.3524 4.1944 1.7377
4.9216 4.2172 7.3043

---

Most stable: entry b

---

Entry a
BIrOF2, relaxed, DFT GGA-PBEsol; N(E_F) = 0.5561 states/eV per atom
1.0
-2.3222 2.6939 0.8837
0.9940 -0.5054 4.1526
3.1744 2.8710 -0.4105
F O Ir B
2 1 1 1
Cartesian
0.4970 -0.2527 2.0763
1.5872 1.4355 -0.2052
-1.1611 1.3470 0.4419
0.0000 0.0000 0.0000
+        const assetDlQueue = []
+        let dlSize = 0;
+        //const objKeys = Object.keys(data.objects)
+        async.forEachOfLimit(indexData.objects, 10, function(value, key, cb){
+            const hash = value.hash
+            const assetName = path.join(hash.substring(0, 2), hash)
+            const urlName = hash.substring(0, 2) + "/" + hash
+            const ast = new Asset(key, hash, String(value.size), resourceURL + urlName, path.join(objectPath, assetName))
+            if(!validateLocal(ast.to, 'sha1', ast.hash)){
+                dlSize += (ast.size*1)
+                assetDlQueue.push(ast)
+            }
+            cb()
+        }, function(err){
+            instance.assets = new DLTracker(assetDlQueue, dlSize)
+            instance.totaldlsize += dlSize
+            fulfill()
+        })
+    })
+ * Public library validation method.
+ */
+validateLibraries = function(versionData, basePath){
+    return new Promise(function(fulfill, reject){
+        const libArr = versionData.libraries
+        const libPath = path.join(basePath, 'libraries')
+        const libDlQueue = []
+        let dlSize = 0
+        //Check validity of each library. If the hashs don't match, download the library.
+        async.eachLimit(libArr, 5, function(lib, cb){
+            if(Library.validateRules(lib.rules)){
+                let artifact = (lib.natives == null) ? lib.downloads.artifact : lib.downloads.classifiers[lib.natives[Library.mojangFriendlyOS()]]
+                const libItm = new Library(lib.name, artifact.sha1, artifact.size, artifact.url, path.join(libPath, artifact.path))
+                if(!validateLocal(libItm.to, 'sha1', libItm.hash)){
+                    dlSize += (libItm.size*1)
+                    libDlQueue.push(libItm)
+                }
+            }
+            cb()
+        }, function(err){
+            instance.libraries = new DLTracker(libDlQueue, dlSize)
+            instance.totaldlsize += dlSize
+            fulfill()
+        })
+    })
+runQueue = function(){
+    this.progress = 0;
+    let win = remote.getCurrentWindow()
+    //Start asset download
+    let assetacc = 0;
+    const concurrentAssetDlQueue = instance.assets.dlqueue.slice(0)
+    async.eachLimit(concurrentAssetDlQueue, 20, function(asset, cb){
+        mkpath.sync(path.join(asset.to, ".."))
+        let req = request(asset.from)
+        let writeStream = fs.createWriteStream(asset.to)
+        req.pipe(writeStream)
+        req.on('data', function(chunk){
+            instance.progress += chunk.length
+            assetacc += chunk.length
+            instance.emit('assetdata', assetacc)
+            console.log('Asset Progress', assetacc/instance.assets.dlsize)
+            win.setProgressBar(instance.progress/instance.totaldlsize)
+            //console.log('Total Progress', instance.progress/instance.totaldlsize)
+        })
+        writeStream.on('close', cb)
+    }, function(err){
+        if(err){
+            instance.emit('asseterr')
+            console.log('An asset failed to process');
+        } else {
+            instance.emit('assetdone')
+            console.log('All assets have been processed successfully')
+        }
+        instance.totaldlsize -= instance.assets.dlsize
+        instance.assets = new DLTracker([], 0)
+        win.setProgressBar(-1)
+    })
+    //Start library download
+    let libacc = 0
+    const concurrentLibraryDlQueue = instance.libraries.dlqueue.slice(0)
+    async.eachLimit(concurrentLibraryDlQueue, 1, function(lib, cb){
+        mkpath.sync(path.join(lib.to, '..'))
+        let req = request(lib.from)
+        let writeStream = fs.createWriteStream(lib.to)
+        req.pipe(writeStream)
+        req.on('data', function(chunk){
+            instance.progress += chunk.length
+            libacc += chunk.length
+            instance.emit('librarydata', libacc)
+            console.log('Library Progress', libacc/instance.libraries.dlsize)
+            win.setProgressBar(instance.progress/instance.totaldlsize)
+        })
+        writeStream.on('close', cb)
+    }, function(err){
+        if(err){
+            instance.emit('libraryerr')
+            console.log('A library failed to process');
+        } else {
+            instance.emit('librarydone')
+            console.log('All libraries have been processed successfully');
+        }
+        instance.totaldlsize -= instance.libraries.dlsize
+        instance.libraries = new DLTracker([], 0)
+        win.setProgressBar(-1)
+    })
+module.exports = {
+    loadVersionData,
+    validateAssets,
+    validateLibraries,
+    runQueue,
+    instance
\ No newline at end of file
diff --git a/app/assets/js/library.js b/app/assets/js/library.js
deleted file mode 100644
index f4a58f5b..00000000
--- a/app/assets/js/library.js
+++ /dev/null
@@ -1,37 +0,0 @@
-exports.mojangFriendlyOS = function(){
-    const opSys = process.platform
-    if (opSys === 'darwin') {
-        return 'osx';
-    } else if (opSys === 'win32'){
-        return 'windows';
-    } else if (opSys === 'linux'){
-        return 'linux';
-    } else {
-        return 'unknown_os';
-    }
-exports.validateRules = function(rules){
-    if(rules == null) return true
-    let result = true
-    rules.forEach(function(rule){
-        const action = rule['action']
-        const osProp = rule['os']
-        if(action != null){
-            if(osProp != null){
-                 const osName = osProp['name']
-                 const osMoj = exports.mojangFriendlyOS()
-                 if(action === 'allow'){
-                     result = osName === osMoj
-                     return
-                 } else if(action === 'disallow'){
-                     result = osName !== osMoj
-                     return
-                 }
-            }
-        }
-    })
-    return result
\ No newline at end of file
diff --git a/app/assets/js/script.js b/app/assets/js/script.js
index 085bfa8e..80b375d9 100644
--- a/app/assets/js/script.js
+++ b/app/assets/js/script.js
@@ -1,13 +1,26 @@
 var $ = require('jQuery');
 const remote = require('electron').remote
 const shell = require('electron').shell
+const path = require('path')
 /* Open web links in the user's default browser. */
 $(document).on('click', 'a[href^="http"]', function(event) {
-    shell.openExternal(this.href);
+    //testdownloads()
+    shell.openExternal(this.href)
+testdownloads = async function(){
+    const ag = require(path.join(__dirname, 'assets', 'js', 'assetguard.js'))
+    const basePath = path.join(__dirname, '..', 'mcfiles')
+    let versionData = await ag.loadVersionData('1.11.2', basePath)
+    await ag.validateAssets(versionData, basePath)
+    console.log('assets done')
+    await ag.validateLibraries(versionData, basePath)
+    console.log('libs done')
+    ag.runQueue()
 /*Opens DevTools window if you type "wcdev" in sequence.
   This will crash the program if you are using multiple
   DevTools, for example the chrome debugger in VS Code. */
diff --git a/index.js b/index.js
index 4e862438..eca68cce 100644
--- a/index.js
+++ b/index.js
@@ -17,19 +17,6 @@ function createWindow() {
-    /*//Code for testing, marked for removal one it's properly implemented.
-    const assetdl = require('./app/assets/js/assetdownload.js')
-    const basePath = path.join(__dirname, 'mcfiles')
-    const dataPromise = assetdl.parseVersionData('1.11.2', basePath)
-    dataPromise.then(function(data){
-        assetdl.downloadAssets(data, basePath)
-        //assetdl.downloadAssets(data, basePath)
-        //assetdl.downloadClient(data, basePath)
-        //assetdl.downloadLogConfig(data, basePath)
-        //assetdl.downloadLibraries(data, basePath)
-        //require('./app/assets/js/launchprocess.js').launchMinecraft(data, basePath)
-    })*/
     win.on('closed', () => {
         win = null